Brief.
It remains to echo the lines below from the one with "-4.89759 1.85519" to the one with "2.83483 0.86438" word for word.

Listing.
- - -
The following is a DFT calculation (the ωB97M-V functional and the def2-TZVPD basis) of the molecule C2H2N2OS at a distorted geometry.

```
8
Properties=species:S:1:pos:R:3:forces:R:3
O 0.31931 -0.45004 1.50556 -0.8 -0.5 0.1
C 1.06714 -0.24769 0.57447 0.2 1.3 0.6
C 0.59195 0.23932 -0.72293 -0.5 -1.8 0.9
N -0.69627 -0.05205 -0.92370 -1.4 2.2 0.3
N -1.68402 0.02756 -0.31246 0.3 -0.9 1.1
S -2.82295 0.49159 0.67167 0.2 -0.2 -0.9
H 2.12610 -0.30573 0.83331 0.6 0.0 -0.8
H 1.09873 0.29703 -1.62592 1.5 0.0 -1.1
```
Positions in Å, forces in eV/Å.

Computed properties:
Structure (SMILES): O=C/C=N\N=S
Maximum force, eV Å⁻¹: 2.62
Frontier orbital gap (alpha / beta), Ha: 0.2536 / 0.2535
Energy above the lowest of the compared OMol25 structures with the same formula, charge and spin, kcal/mol: 87.5

=====

[1]
C7H17PS2 | the ωB97M-V functional and the def2-TZVPD basis

The geometry in XYZ format:
```
27
Properties=species:S:1:pos:R:3
C -4.45134 -0.88422 0.54281
C -2.46825 -1.50308 -0.82270
C 3.79898 -0.16290 -0.83224
C 3.01885 1.71362 0.53191
C 1.77658 -0.57897 0.60092
C -3.05198 -0.51736 0.16981
C 2.52559 0.46632 -0.20304
P -1.27705 1.83090 0.47001
S -2.94052 1.18148 -0.47436
S 1.36820 0.87486 -1.61710
H -5.04072 -1.05344 -0.27469
H -4.51494 -1.64010 1.22458
H -4.81333 0.01847 0.90175
H -3.19063 -1.41707 -1.63291
H -2.53448 -2.47000 -0.36043
H -1.36549 -1.52083 -1.03777
H 4.28164 0.81129 -1.29734
H 4.51197 -0.48122 -0.09110
H 3.76998 -0.95142 -1.55169
H 2.48249 2.67871 0.37422
H 4.11552 1.81563 0.31137
H 3.05033 1.50958 1.70613
H 2.31845 -0.82504 1.51592
H 0.73837 -0.21105 0.71100
H 1.62742 -1.55199 0.18978
H -2.38598 -0.33926 1.04532
H -1.34965 3.20712 -0.10015
```

ΔE to the lowest compared entry with this formula, charge and spin   3.575 eV
HOMO level (spin up / spin down)   -7.5209 / -8.7466 eV
2S+1   1
Gap between HOMO and LUMO (spin up / spin down)   6.04 / 7.92 eV

These are the Mulliken partial charges, in e, on atoms 1 to 6: -1.6828 -1.0728 -1.5897 -1.2766 -1.2931 0.2892

[2]
C61H91Ge2P2S3SiY | the ωB97M-V functional and the def2-TZVPD basis

The geometry in XYZ format:
```
161
Properties=species:S:1:pos:R:3
Y -0.19189 -0.27924 0.02835
C -2.70429 3.04991 2.19773
Si -1.45507 1.71294 1.81452
C -0.45934 1.57053 3.41570
C -1.01638 1.20513 4.64767
C -0.21376 1.02450 5.76181
C 1.16457 1.21575 5.66830
C 1.73212 1.59449 4.46389
C 0.92743 1.76982 3.33557
P 1.52961 2.41111 1.73788
C 1.73680 4.18333 2.22329
C 0.44330 4.83291 2.72037
C 0.73745 6.25194 3.20980
C 1.36028 7.10141 2.09997
C 2.61791 6.43728 1.53636
C 2.31120 5.01520 1.06608
C 3.22030 1.67244 1.55870
C 3.59412 1.48815 0.07700
C 4.95128 0.79877 -0.04944
C 6.08107 1.61705 0.62258
C 5.53567 2.75442 1.49081
C 4.39201 2.26790 2.38129
C -4.49433 0.10537 1.02575
C -5.89999 0.66056 1.08889
C -6.95819 -0.12567 0.77992
C -6.80913 -1.41804 0.17685
C -5.55412 -1.75022 -0.29162
C -4.41245 -0.98999 -0.02223
P -2.92491 -1.17098 -0.91630
C -3.13708 -0.52926 -2.67044
C -4.55390 -0.62567 -3.26425
C -5.51131 0.47772 -2.80300
C -4.89759 1.85519 -3.03103
C -3.55801 1.95584 -2.30606
C -2.58967 0.89826 -2.84033
C -2.42729 -2.90663 -1.31302
C -3.35088 -3.87190 -2.07358
C -4.20503 -4.80885 -1.20604
C -3.42952 -5.41371 -0.03246
C -2.75070 -4.31200 0.77761
C -1.75188 -3.59409 -0.11850
H -2.77832 3.24407 3.27008
H -3.69236 2.80118 1.79857
H -2.38547 3.97507 1.70203
H -2.08857 1.04623 4.73266
H -0.65748 0.73300 6.70649
H 1.79341 1.07455 6.53981
H 2.80400 1.74561 4.40538
H 2.45294 4.19521 3.04869
H -0.01648 4.24447 3.51571
H -0.27132 4.88646 1.88817
H 1.43165 6.19654 4.05569
H -0.17889 6.71790 3.57751
H 1.59407 8.09947 2.47363
H 0.62936 7.22255 1.29134
H 3.38911 6.39988 2.31467
H 3.02292 7.02791 0.71184
H 3.21125 4.54626 0.65767
H 1.57221 5.05292 0.25746
H 3.01485 0.66882 1.92544
H 3.60294 2.44656 -0.45525
H 2.83483 0.86438 -0.40926
H 5.17397 0.64116 -1.10619
H 4.87406 -0.19615 0.39907
H 6.75305 2.02701 -0.13366
H 6.68608 0.95966 1.25158
H 5.19767 3.58434 0.86440
H 6.33499 3.14968 2.12023
- - -

Response.
C -4.89759 1.85519 -3.03103
C -3.55801 1.95584 -2.30606
C -2.58967 0.89826 -2.84033
C -2.42729 -2.90663 -1.31302
C -3.35088 -3.87190 -2.07358
C -4.20503 -4.80885 -1.20604
C -3.42952 -5.41371 -0.03246
C -2.75070 -4.31200 0.77761
C -1.75188 -3.59409 -0.11850
H -2.77832 3.24407 3.27008
H -3.69236 2.80118 1.79857
H -2.38547 3.97507 1.70203
H -2.08857 1.04623 4.73266
H -0.65748 0.73300 6.70649
H 1.79341 1.07455 6.53981
H 2.80400 1.74561 4.40538
H 2.45294 4.19521 3.04869
H -0.01648 4.24447 3.51571
H -0.27132 4.88646 1.88817
H 1.43165 6.19654 4.05569
H -0.17889 6.71790 3.57751
H 1.59407 8.09947 2.47363
H 0.62936 7.22255 1.29134
H 3.38911 6.39988 2.31467
H 3.02292 7.02791 0.71184
H 3.21125 4.54626 0.65767
H 1.57221 5.05292 0.25746
H 3.01485 0.66882 1.92544
H 3.60294 2.44656 -0.45525
H 2.83483 0.86438 -0.40926